• What to do:
The reader should print everything further below word for word.

• Given:
DFT (PBE with a Hubbard U) results for a relaxed Cr4P3O12 crystal.

Cell: 7.6147 8.2071 9.6793 Å, 108.64 112.73 94.21°
Fractional positions:
Cr 0.0274 0.3036 0.4753
Cr 0.2611 0.4086 0.9058
Cr 0.2663 0.0390 0.9186
Cr 0.2953 0.1103 0.2948
Cr 0.7047 0.8897 0.7052
Cr 0.7337 0.9610 0.0814
Cr 0.7389 0.5914 0.0942
Cr 0.9726 0.6964 0.5247
P 0.0304 0.7596 0.9508
P 0.3127 0.0588 0.6164
P 0.3967 0.6565 0.7481
P 0.6033 0.3435 0.2519
P 0.6873 0.9412 0.3836
P 0.9696 0.2404 0.0492
O 0.0613 0.2197 0.2175
O 0.1130 0.5984 0.9395
O 0.1183 0.2385 0.9738
O 0.1603 0.8852 0.5287
O 0.1891 0.5655 0.6035
O 0.1937 0.9371 0.0630
O 0.2609 0.1732 0.5064
O 0.3004 0.1669 0.7772
O 0.4010 0.8418 0.8578
O 0.4485 0.5367 0.8466
O 0.4532 0.3216 0.3205
O 0.4786 0.9633 0.3477
O 0.5214 0.0367 0.6523
O 0.5468 0.6784 0.6795
O 0.5515 0.4633 0.1534
O 0.5990 0.1582 0.1422
O 0.6996 0.8331 0.2228
O 0.7391 0.8268 0.4936
O 0.8063 0.0629 0.9370
O 0.8109 0.4345 0.3965
O 0.8397 0.1148 0.4713
O 0.8817 0.7615 0.0262
O 0.8870 0.4016 0.0605
O 0.9387 0.7803 0.7825

Values from the calculation:
* volume: 515.1 Å³/cell
* E_form: -2462 meV/atom
* final energy: -7.619 eV/atom
* space-group type: P-1, No. 2

=====

DFT (PBE with a Hubbard U) results for a relaxed CrPO4 crystal.

Cell: 7.3702 7.3702 9.4977 Å, 90.00 90.00 120.00°
Fractional positions:
Cr 0.0644 0.4571 0.0000
Cr 0.3927 0.9356 0.0000
Cr 0.4571 0.0644 0.5000
Cr 0.5429 0.6073 0.0000
Cr 0.6073 0.5429 0.5000
Cr 0.9356 0.3927 0.5000
P 0.0000 0.0000 0.4423
P 0.0000 0.0000 0.9423
P 0.3333 0.6667 0.3048
P 0.3333 0.6667 0.6942
P 0.6667 0.3333 0.1942
P 0.6667 0.3333 0.8048
O 0.0000 0.0000 0.2870
O 0.0000 0.0000 0.7870
O 0.1066 0.5695 0.6462
O 0.1130 0.8813 0.0098
O 0.1187 0.2317 0.0098
O 0.1397 0.4648 0.3530
O 0.2317 0.1187 0.5098
O 0.3251 0.8603 0.3530
O 0.3333 0.6667 0.1315
O 0.3333 0.6667 0.8645
O 0.4305 0.5370 0.6462
O 0.4630 0.8934 0.6462
O 0.4648 0.1397 0.8530
O 0.5352 0.6749 0.3530
O 0.5370 0.4305 0.1462
O 0.5695 0.1066 0.1462
O 0.6667 0.3333 0.3645
O 0.6667 0.3333 0.6315
O 0.6749 0.5352 0.8530
O 0.7683 0.8870 0.0098
O 0.8603 0.3251 0.8530
O 0.8813 0.1130 0.5098
O 0.8870 0.7683 0.5098
O 0.8934 0.4630 0.1462

Values from the calculation:
* volume: 446.8 Å³/cell
* E_form: -2373 meV/atom
* final energy: -7.392 eV/atom
* space-group type: P31c, No. 159

=====

DFT (PBE with a Hubbard U) results for a relaxed CrPO5 crystal.

Cell: 12.6824 5.0425 12.8039 Å, 90.00 119.81 90.00°
Fractional positions:
Cr 0.0631 0.2322 0.3713
Cr 0.0631 0.2678 0.8712
Cr 0.4360 0.7365 0.3072
Cr 0.4360 0.7635 0.8072
Cr 0.5640 0.2365 0.1928
Cr 0.5640 0.2635 0.6928
Cr 0.9369 0.7322 0.1288
Cr 0.9369 0.7678 0.6288
P 0.1560 0.7471 0.0634
P 0.1560 0.7529 0.5634
P 0.3445 0.2382 0.9096
P 0.3445 0.2618 0.4096
P 0.6555 0.7382 0.5904
P 0.6555 0.7618 0.0904
P 0.8440 0.2471 0.4366
P 0.8440 0.2529 0.9366
O 0.0028 0.5166 0.7751
O 0.0028 0.9834 0.2751
O 0.0859 0.6896 0.6297
O 0.0859 0.8104 0.1297
O 0.1241 0.5609 0.4582
O 0.1241 0.9391 0.9582
O 0.1267 0.0418 0.5142
O 0.1267 0.4582 0.0142
O 0.2089 0.2164 0.3593
O 0.2089 0.2836 0.8593
O 0.2923 0.7298 0.6513
O 0.2923 0.7702 0.1513
O 0.3625 0.5513 0.3789
O 0.3625 0.9487 0.8789
O 0.3907 0.0700 0.3477
O 0.3907 0.4300 0.8477
O 0.4108 0.2234 0.5467
O 0.4108 0.2766 0.0467
O 0.4852 0.0212 0.7638
O 0.4852 0.4788 0.2638
O 0.5148 0.5212 0.7362
O 0.5148 0.9788 0.2362
O 0.5892 0.7234 0.9533
O 0.5892 0.7766 0.4533
O 0.6093 0.5700 0.1523
O 0.6093 0.9300 0.6523
O 0.6375 0.0513 0.1211
O 0.6375 0.4487 0.6211
O 0.7077 0.2298 0.8487
O 0.7077 0.2702 0.3487
O 0.7911 0.7164 0.1407
O 0.7911 0.7836 0.6407
O 0.8733 0.5418 0.9858
O 0.8733 0.9582 0.4858
O 0.8759 0.0609 0.0418
O 0.8759 0.4391 0.5418
O 0.9141 0.1896 0.8703
O 0.9141 0.3104 0.3703
O 0.9972 0.0166 0.7249
O 0.9972 0.4834 0.2249

Values from the calculation:
* volume: 710.5 Å³/cell
* E_form: -2125 meV/atom
* final energy: -7.035 eV/atom
* space-group type: P2_1/c, No. 14

=====

DFT (PBE with a Hubbard U) results for a relaxed CrP2O7 crystal.

Cell: 6.3359 6.4153 6.9050 Å, 89.09 66.26 85.42°

• Written answer:
DFT (PBE with a Hubbard U) results for a relaxed Cr4P3O12 crystal.

Cell: 7.6147 8.2071 9.6793 Å, 108.64 112.73 94.21°
Fractional positions:
Cr 0.0274 0.3036 0.4753
Cr 0.2611 0.4086 0.9058
Cr 0.2663 0.0390 0.9186
Cr 0.2953 0.1103 0.2948
Cr 0.7047 0.8897 0.7052
Cr 0.7337 0.9610 0.0814
Cr 0.7389 0.5914 0.0942
Cr 0.9726 0.6964 0.5247
P 0.0304 0.7596 0.9508
P 0.3127 0.0588 0.6164
P 0.3967 0.6565 0.7481
P 0.6033 0.3435 0.2519
P 0.6873 0.9412 0.3836
P 0.9696 0.2404 0.0492
O 0.0613 0.2197 0.2175
O 0.1130 0.5984 0.9395
O 0.1183 0.2385 0.9738
O 0.1603 0.8852 0.5287
O 0.1891 0.5655 0.6035
O 0.1937 0.9371 0.0630
O 0.2609 0.1732 0.5064
O 0.3004 0.1669 0.7772
O 0.4010 0.8418 0.8578
O 0.4485 0.5367 0.8466
O 0.4532 0.3216 0.3205
O 0.4786 0.9633 0.3477
O 0.5214 0.0367 0.6523
O 0.5468 0.6784 0.6795
O 0.5515 0.4633 0.1534
O 0.5990 0.1582 0.1422
O 0.6996 0.8331 0.2228
O 0.7391 0.8268 0.4936
O 0.8063 0.0629 0.9370
O 0.8109 0.4345 0.3965
O 0.8397 0.1148 0.4713
O 0.8817 0.7615 0.0262
O 0.8870 0.4016 0.0605
O 0.9387 0.7803 0.7825

Values from the calculation:
* volume: 515.1 Å³/cell
* E_form: -2462 meV/atom
* final energy: -7.619 eV/atom
* space-group type: P-1, No. 2

=====

DFT (PBE with a Hubbard U) results for a relaxed CrPO4 crystal.

Cell: 7.3702 7.3702 9.4977 Å, 90.00 90.00 120.00°
Fractional positions:
Cr 0.0644 0.4571 0.0000
Cr 0.3927 0.9356 0.0000
Cr 0.4571 0.0644 0.5000
Cr 0.5429 0.6073 0.0000
Cr 0.6073 0.5429 0.5000
Cr 0.9356 0.3927 0.5000
P 0.0000 0.0000 0.4423
P 0.0000 0.0000 0.9423
P 0.3333 0.6667 0.3048
P 0.3333 0.6667 0.6942
P 0.6667 0.3333 0.1942
P 0.6667 0.3333 0.8048
O 0.0000 0.0000 0.2870
O 0.0000 0.0000 0.7870
O 0.1066 0.5695 0.6462
O 0.1130 0.8813 0.0098
O 0.1187 0.2317 0.0098
O 0.1397 0.4648 0.3530
O 0.2317 0.1187 0.5098
O 0.3251 0.8603 0.3530
O 0.3333 0.6667 0.1315
O 0.3333 0.6667 0.8645
O 0.4305 0.5370 0.6462
O 0.4630 0.8934 0.6462
O 0.4648 0.1397 0.8530
O 0.5352 0.6749 0.3530
O 0.5370 0.4305 0.1462
O 0.5695 0.1066 0.1462
O 0.6667 0.3333 0.3645
O 0.6667 0.3333 0.6315
O 0.6749 0.5352 0.8530
O 0.7683 0.8870 0.0098
O 0.8603 0.3251 0.8530
O 0.8813 0.1130 0.5098
O 0.8870 0.7683 0.5098
O 0.8934 0.4630 0.1462

Values from the calculation:
* volume: 446.8 Å³/cell
* E_form: -2373 meV/atom
* final energy: -7.392 eV/atom
* space-group type: P31c, No. 159

=====

DFT (PBE with a Hubbard U) results for a relaxed CrPO5 crystal.

Cell: 12.6824 5.0425 12.8039 Å, 90.00 119.81 90.00°
Fractional positions:
Cr 0.0631 0.2322 0.3713
Cr 0.0631 0.2678 0.8712
Cr 0.4360 0.7365 0.3072
Cr 0.4360 0.7635 0.8072
Cr 0.5640 0.2365 0.1928
Cr 0.5640 0.2635 0.6928
Cr 0.9369 0.7322 0.1288
Cr 0.9369 0.7678 0.6288
P 0.1560 0.7471 0.0634
P 0.1560 0.7529 0.5634
P 0.3445 0.2382 0.9096
P 0.3445 0.2618 0.4096
P 0.6555 0.7382 0.5904
P 0.6555 0.7618 0.0904
P 0.8440 0.2471 0.4366
P 0.8440 0.2529 0.9366
O 0.0028 0.5166 0.7751
O 0.0028 0.9834 0.2751
O 0.0859 0.6896 0.6297
O 0.0859 0.8104 0.1297
O 0.1241 0.5609 0.4582
O 0.1241 0.9391 0.9582
O 0.1267 0.0418 0.5142
O 0.1267 0.4582 0.0142
O 0.2089 0.2164 0.3593
O 0.2089 0.2836 0.8593
O 0.2923 0.7298 0.6513
O 0.2923 0.7702 0.1513
O 0.3625 0.5513 0.3789
O 0.3625 0.9487 0.8789
O 0.3907 0.0700 0.3477
O 0.3907 0.4300 0.8477
O 0.4108 0.2234 0.5467
O 0.4108 0.2766 0.0467
O 0.4852 0.0212 0.7638
O 0.4852 0.4788 0.2638
O 0.5148 0.5212 0.7362
O 0.5148 0.9788 0.2362
O 0.5892 0.7234 0.9533
O 0.5892 0.7766 0.4533
O 0.6093 0.5700 0.1523
O 0.6093 0.9300 0.6523
O 0.6375 0.0513 0.1211
O 0.6375 0.4487 0.6211
O 0.7077 0.2298 0.8487
O 0.7077 0.2702 0.3487
O 0.7911 0.7164 0.1407
O 0.7911 0.7836 0.6407
O 0.8733 0.5418 0.9858
O 0.8733 0.9582 0.4858
O 0.8759 0.0609 0.0418
O 0.8759 0.4391 0.5418
O 0.9141 0.1896 0.8703
O 0.9141 0.3104 0.3703
O 0.9972 0.0166 0.7249
O 0.9972 0.4834 0.2249

Values from the calculation:
* volume: 710.5 Å³/cell
* E_form: -2125 meV/atom
* final energy: -7.035 eV/atom
* space-group type: P2_1/c, No. 14

=====

DFT (PBE with a Hubbard U) results for a relaxed CrP2O7 crystal.

Cell: 6.3359 6.4153 6.9050 Å, 89.09 66.26 85.42°